-- What to do --
Now type out the rows further down from the first line to the one with "Na2 0.000" word for word.

-- Source --
____________
No. 1
VASP calculation (PBE) on Tc2SF after structural relaxation.

abc: 5.7892 5.7892 5.7892
angles: 90.00 90.00 90.00
With the nearest neighbours (Å) after each atom.
Fractional coordinates of all 16 atoms:
Tc (0.2500, 0.2500, 0.2500)  4 S 2.51, 4 F 2.51
Tc (0.2500, 0.2500, 0.7500)  4 S 2.51, 4 F 2.51
Tc (0.2500, 0.7500, 0.2500)  4 S 2.51, 4 F 2.51
Tc (0.2500, 0.7500, 0.7500)  4 S 2.51, 4 F 2.51
Tc (0.7500, 0.2500, 0.2500)  4 S 2.51, 4 F 2.51
Tc (0.7500, 0.2500, 0.7500)  4 S 2.51, 4 F 2.51
Tc (0.7500, 0.7500, 0.2500)  4 S 2.51, 4 F 2.51
Tc (0.7500, 0.7500, 0.7500)  4 S 2.51, 4 F 2.51
S (0.0000, 0.0000, 0.0000)  8 Tc 2.51
S (0.0000, 0.5000, 0.5000)  8 Tc 2.51
S (0.5000, 0.0000, 0.5000)  8 Tc 2.51
S (0.5000, 0.5000, 0.0000)  8 Tc 2.51
F (0.0000, 0.0000, 0.5000)  8 Tc 2.51
F (0.0000, 0.5000, 0.0000)  8 Tc 2.51
F (0.5000, 0.0000, 0.0000)  8 Tc 2.51
F (0.5000, 0.5000, 0.5000)  8 Tc 2.51

Computed properties:
- ΔE_f (raw): -0.101 eV/atom
- Space group: No. 225

---

No. 2
VASP calculation (PBE) on ErThZn after structural relaxation.

abc: 5.0340 5.0340 3.6579
angles: 90.00 90.00 120.00
With the nearest neighbours (Å) after each atom.
Fractional coordinates of all 3 atoms:
Er (0.0000, 0.0000, 0.0000)  3 Zn 2.93
Th (0.6667, 0.3333, 0.5237)  6 Zn 3.31-3.57, 6 Er 3.39-3.48, 2 Th 3.66
Zn (0.3333, 0.6667, 0.0927)  3 Er 2.93

Computed properties:
- Energy of formation from the pure elements: 0.03 eV per atom
- Space group: No. 156

---

No. 3
VASP calculation (PBE) on AcPr2Nd3 after structural relaxation.

abc: 7.9786 7.9786 6.9489
angles: 90.00 90.00 88.82
With the nearest neighbours (Å) after each atom.
Fractional coordinates of all 12 atoms:
Ac (0.1030, 0.8970, 0.7500)  5 Nd 3.45-3.59
Ac (0.8970, 0.1030, 0.2500)  5 Nd 3.45-3.59
Pr (0.0980, 0.5987, 0.2500)  4 Nd 3.45-3.49, 1 Pr 3.46
Pr (0.4013, 0.9020, 0.2500)  4 Nd 3.45-3.49, 1 Pr 3.46
Pr (0.5987, 0.0980, 0.7500)  4 Nd 3.45-3.49, 1 Pr 3.46
Pr (0.9020, 0.4013, 0.7500)  4 Nd 3.45-3.49, 1 Pr 3.46
Nd (0.2564, 0.2564, 0.0000)  4 Nd 3.42-3.47, 4 Pr 3.45-3.49, 2 Ac 3.59
Nd (0.2564, 0.2564, 0.5000)  4 Nd 3.42-3.47, 4 Pr 3.45-3.49, 2 Ac 3.59
Nd (0.4120, 0.5880, 0.7500)  4 Nd 3.42, 1 Ac 3.45
Nd (0.5880, 0.4120, 0.2500)  4 Nd 3.42, 1 Ac 3.45
Nd (0.7436, 0.7436, 0.0000)  4 Nd 3.42-3.47, 4 Pr 3.45-3.49, 2 Ac 3.59
Nd (0.7436, 0.7436, 0.5000)  4 Nd 3.42-3.47, 4 Pr 3.45-3.49, 2 Ac 3.59

Computed properties:
- Energy of formation from the pure elements: 0.17 eV per atom
- Space group: No. 63

---

Computed values of size of the total moment (unit: μB per atom) for the preceding records, in sequence: 0.00, 0.00, 0.00.

----------

{"formula": "GaTe3Pd12", "functional": "PBE", "state": "relaxed", "formation_energy_uncorrected_ev_per_atom": -0.24, "lattice": [[4.0546, 0.0000, 0.0000], [0.0000, 4.0546, 0.0000], [0.0000, 0.0000, 16.1639]], "species": ["Ga", "Te", "Te", "Te", "Pd", "Pd", "Pd", "Pd", "Pd", "Pd", "Pd", "Pd", "Pd", "Pd", "Pd", "Pd"], "frac_coords": [[0.0000, 0.0000, 0.0000], [0.0000, 0.0000, 0.2428], [0.0000, 0.0000, 0.5000], [0.0000, 0.0000, 0.7572], [0.0000, 0.5000, 0.1154], [0.0000, 0.5000, 0.3717], [0.0000, 0.5000, 0.6283], [0.0000, 0.5000, 0.8846], [0.5000, 0.0000, 0.1154], [0.5000, 0.0000, 0.3717], [0.5000, 0.0000, 0.6283], [0.5000, 0.0000, 0.8846], [0.5000, 0.5000, 0.0000], [0.5000, 0.5000, 0.2433], [0.5000, 0.5000, 0.5000], [0.5000, 0.5000, 0.7567]]}

----------

Record 1
Density functional theory data (GGA-PBE) for a relaxed structure of Na3MgPd.

Structure (CIF):
```
data_Na3MgPd
_cell_length_a 5.476
_cell_length_b 5.476
_cell_length_c 5.476
_cell_angle_alpha 90.00
_cell_angle_beta 90.00
_cell_angle_gamma 90.00
_symmetry_space_group_name_H-M 'P 1'
_symmetry_Int_Tables_number 1
loop_
_symmetry_equiv_pos_as_xyz
'x,y,z'
loop_
_atom_site_label
_atom_site_fract_x
_atom_site_fract_y
_atom_site_fract_z
Na1 0.000 0.000 0.500
Na2 0.000 0.500 0.000
Na3 0.500 0.000 0.000
Mg1 0.500 0.500 0.500
Pd1 0.000 0.000 0.000
```

## Properties
N(E_F)   0.628 states/eV/atom
Magnetization   0.00 μB/cell
____________

-- Here it is --
No. 1
VASP calculation (PBE) on Tc2SF after structural relaxation.

abc: 5.7892 5.7892 5.7892
angles: 90.00 90.00 90.00
With the nearest neighbours (Å) after each atom.
Fractional coordinates of all 16 atoms:
Tc (0.2500, 0.2500, 0.2500)  4 S 2.51, 4 F 2.51
Tc (0.2500, 0.2500, 0.7500)  4 S 2.51, 4 F 2.51
Tc (0.2500, 0.7500, 0.2500)  4 S 2.51, 4 F 2.51
Tc (0.2500, 0.7500, 0.7500)  4 S 2.51, 4 F 2.51
Tc (0.7500, 0.2500, 0.2500)  4 S 2.51, 4 F 2.51
Tc (0.7500, 0.2500, 0.7500)  4 S 2.51, 4 F 2.51
Tc (0.7500, 0.7500, 0.2500)  4 S 2.51, 4 F 2.51
Tc (0.7500, 0.7500, 0.7500)  4 S 2.51, 4 F 2.51
S (0.0000, 0.0000, 0.0000)  8 Tc 2.51
S (0.0000, 0.5000, 0.5000)  8 Tc 2.51
S (0.5000, 0.0000, 0.5000)  8 Tc 2.51
S (0.5000, 0.5000, 0.0000)  8 Tc 2.51
F (0.0000, 0.0000, 0.5000)  8 Tc 2.51
F (0.0000, 0.5000, 0.0000)  8 Tc 2.51
F (0.5000, 0.0000, 0.0000)  8 Tc 2.51
F (0.5000, 0.5000, 0.5000)  8 Tc 2.51

Computed properties:
- ΔE_f (raw): -0.101 eV/atom
- Space group: No. 225

---

No. 2
VASP calculation (PBE) on ErThZn after structural relaxation.

abc: 5.0340 5.0340 3.6579
angles: 90.00 90.00 120.00
With the nearest neighbours (Å) after each atom.
Fractional coordinates of all 3 atoms:
Er (0.0000, 0.0000, 0.0000)  3 Zn 2.93
Th (0.6667, 0.3333, 0.5237)  6 Zn 3.31-3.57, 6 Er 3.39-3.48, 2 Th 3.66
Zn (0.3333, 0.6667, 0.0927)  3 Er 2.93

Computed properties:
- Energy of formation from the pure elements: 0.03 eV per atom
- Space group: No. 156

---

No. 3
VASP calculation (PBE) on AcPr2Nd3 after structural relaxation.

abc: 7.9786 7.9786 6.9489
angles: 90.00 90.00 88.82
With the nearest neighbours (Å) after each atom.
Fractional coordinates of all 12 atoms:
Ac (0.1030, 0.8970, 0.7500)  5 Nd 3.45-3.59
Ac (0.8970, 0.1030, 0.2500)  5 Nd 3.45-3.59
Pr (0.0980, 0.5987, 0.2500)  4 Nd 3.45-3.49, 1 Pr 3.46
Pr (0.4013, 0.9020, 0.2500)  4 Nd 3.45-3.49, 1 Pr 3.46
Pr (0.5987, 0.0980, 0.7500)  4 Nd 3.45-3.49, 1 Pr 3.46
Pr (0.9020, 0.4013, 0.7500)  4 Nd 3.45-3.49, 1 Pr 3.46
Nd (0.2564, 0.2564, 0.0000)  4 Nd 3.42-3.47, 4 Pr 3.45-3.49, 2 Ac 3.59
Nd (0.2564, 0.2564, 0.5000)  4 Nd 3.42-3.47, 4 Pr 3.45-3.49, 2 Ac 3.59
Nd (0.4120, 0.5880, 0.7500)  4 Nd 3.42, 1 Ac 3.45
Nd (0.5880, 0.4120, 0.2500)  4 Nd 3.42, 1 Ac 3.45
Nd (0.7436, 0.7436, 0.0000)  4 Nd 3.42-3.47, 4 Pr 3.45-3.49, 2 Ac 3.59
Nd (0.7436, 0.7436, 0.5000)  4 Nd 3.42-3.47, 4 Pr 3.45-3.49, 2 Ac 3.59

Computed properties:
- Energy of formation from the pure elements: 0.17 eV per atom
- Space group: No. 63

---

Computed values of size of the total moment (unit: μB per atom) for the preceding records, in sequence: 0.00, 0.00, 0.00.

----------

{"formula": "GaTe3Pd12", "functional": "PBE", "state": "relaxed", "formation_energy_uncorrected_ev_per_atom": -0.24, "lattice": [[4.0546, 0.0000, 0.0000], [0.0000, 4.0546, 0.0000], [0.0000, 0.0000, 16.1639]], "species": ["Ga", "Te", "Te", "Te", "Pd", "Pd", "Pd", "Pd", "Pd", "Pd", "Pd", "Pd", "Pd", "Pd", "Pd", "Pd"], "frac_coords": [[0.0000, 0.0000, 0.0000], [0.0000, 0.0000, 0.2428], [0.0000, 0.0000, 0.5000], [0.0000, 0.0000, 0.7572], [0.0000, 0.5000, 0.1154], [0.0000, 0.5000, 0.3717], [0.0000, 0.5000, 0.6283], [0.0000, 0.5000, 0.8846], [0.5000, 0.0000, 0.1154], [0.5000, 0.0000, 0.3717], [0.5000, 0.0000, 0.6283], [0.5000, 0.0000, 0.8846], [0.5000, 0.5000, 0.0000], [0.5000, 0.5000, 0.2433], [0.5000, 0.5000, 0.5000], [0.5000, 0.5000, 0.7567]]}

----------

Record 1
Density functional theory data (GGA-PBE) for a relaxed structure of Na3MgPd.

Structure (CIF):
```
data_Na3MgPd
_cell_length_a 5.476
_cell_length_b 5.476
_cell_length_c 5.476
_cell_angle_alpha 90.00
_cell_angle_beta 90.00
_cell_angle_gamma 90.00
_symmetry_space_group_name_H-M 'P 1'
_symmetry_Int_Tables_number 1
loop_
_symmetry_equiv_pos_as_xyz
'x,y,z'
loop_
_atom_site_label
_atom_site_fract_x
_atom_site_fract_y
_atom_site_fract_z
Na1 0.000 0.000 0.500
Na2 0.000 0.500 0.000